I have an argument that sounds idealistic, naïve, even triumphalist, but that only serves to increase my determination: The nation needs a church. I still believe the church matters and that we have a role to play that is the…
Here’s a better way to talk about Lia Thomas and transgender athletes
When Lia Thomas touched the wall during the 500-yard freestyle swim and became the first NCAA Division I national champion who self-identifies as a transgender athlete, many people quietly wondered whether her victory was something to celebrate or lament. On one…
The moral dimension of the ministerial vocation
Remember your leaders, those who spoke the word of God to you; consider the outcome of their way of life, and imitate their faith. … Obey your leaders and submit to them, for they are keeping watch over your souls…
A surprising nominee for SBC presidency announced in a surprising way
The most conservative wing of the Southern Baptist Convention bypassed the denominational news service in favor of a conservative political outlet March 22 to announce its slate of two candidates for office when the SBC gathers this June. As if…
Anti-LGBTQ legislation is bad science, bad politics and bad theology, and it’s going to get people killed
Needing yet another wedge issue for election season, Republicans in many states are at work attempting to pass legislation that targets LGBTQ people, with a special emphasis on the T. The year 2022 already has surpassed the record-breaking 2021 as…
On this date 85 years ago, the worst school tragedy in American history occurred
On Thursday afternoon, March 18, 1937, in the Texas oil boom town of New London, 694 students and 40 teachers awaited the dismissal bell and the start of a special three-day weekend. Then at 3:17 p.m., just 13 minutes before…
Why it’s wrong to assume American evangelicals are siding with Russia over Ukraine
## Someone pasted data records at this point
+++
No. 1
Compound: LiCu5P2O8
Source: the Materials Project database
Functional: PBE
Structure: relaxed

Properties
* distance to the lowest polymorph of the same formula: 17 meV per atom

a b c (Å): 5.5671 6.2321 10.4178
angles (deg): 89.78 89.38 89.61
Sites, in units of the cell vectors:
Li (0.1530, 0.0003, 0.7540)
Li (0.6725, 0.2552, 0.7552)
Cu (0.2289, 0.0002, 0.2568)
Cu (0.3564, 0.2426, 0.4956)
Cu (0.3475, 0.2595, 0.9937)
Cu (0.6529, 0.2443, 0.2540)
Cu (0.7715, 0.5077, 0.0029)
Cu (0.7766, 0.4958, 0.5032)
Cu (0.6532, 0.7533, 0.2532)
Cu (0.6515, 0.7178, 0.7672)
Cu (0.3471, 0.7660, 0.5001)
Cu (0.3593, 0.7371, 0.9952)
P (0.8418, 0.0057, 0.9940)
P (0.8344, 0.0009, 0.5084)
P (0.1739, 0.4945, 0.7463)
P (0.1605, 0.5023, 0.2473)
O (0.8405, 0.0078, 0.3598)
O (0.0900, 0.9985, 0.5661)
O (0.8320, 0.0050, 0.8459)
O (0.1025, 0.0031, 0.0445)
O (0.6961, 0.1996, 0.5667)
O (0.7031, 0.2069, 0.0481)
O (0.3144, 0.2920, 0.7950)
O (0.2960, 0.2992, 0.2998)
O (0.1626, 0.5026, 0.0995)
O (0.9020, 0.5045, 0.3033)
O (0.1754, 0.4975, 0.5976)
O (0.9105, 0.4871, 0.7984)
O (0.2991, 0.7009, 0.3000)
O (0.2928, 0.7077, 0.7958)
O (0.6966, 0.7969, 0.5577)
O (0.7056, 0.8072, 0.0519)


No. 2
Compound: LiCuP4O12
Source: the Materials Project database
Functional: PBE
Structure: relaxed

Properties
* distance to the lowest polymorph of the same formula: 45 meV per atom

a b c (Å): 9.2383 9.3566 10.1989
angles (deg): 90.00 90.00 90.00
Sites, in units of the cell vectors:
Li (0.8533, 0.7545, 0.8313)
Li (0.3533, 0.7455, 0.1687)
Li (0.6467, 0.2455, 0.3313)
Li (0.1467, 0.2545, 0.6687)
Cu (0.5069, 0.2430, 0.7042)
Cu (0.4931, 0.7430, 0.7958)
Cu (0.0069, 0.2570, 0.2958)
Cu (0.9931, 0.7570, 0.2042)
P (0.7069, 0.9585, 0.6084)
P (0.2094, 0.0395, 0.1097)
P (0.7906, 0.5395, 0.3903)
P (0.4991, 0.0236, 0.9728)
P (0.4984, 0.4434, 0.1095)
P (0.5009, 0.5236, 0.5272)
P (0.7931, 0.0415, 0.1084)
P (0.2069, 0.5415, 0.3916)
P (0.0016, 0.5566, 0.6095)
P (0.2931, 0.4585, 0.8916)
P (0.9991, 0.4764, 0.0272)
P (0.9984, 0.0566, 0.8905)
P (0.7094, 0.4605, 0.8903)
P (0.5016, 0.9434, 0.3905)
P (0.2906, 0.9605, 0.6097)
P (0.0009, 0.9764, 0.4728)
O (0.9888, 0.8986, 0.8752)
O (0.1279, 0.4350, 0.9301)
O (0.0038, 0.1373, 0.4542)
O (0.8174, 0.1364, 0.2274)
O (0.6826, 0.8636, 0.7274)
O (0.3655, 0.8986, 0.4812)
O (0.1716, 0.1313, 0.2262)
O (0.6345, 0.3986, 0.0188)
O (0.9994, 0.3838, 0.1454)
O (0.3174, 0.3636, 0.7726)
O (0.1325, 0.6144, 0.5171)
O (0.5038, 0.3627, 0.5458)
O (0.1879, 0.8797, 0.1233)
O (0.1714, 0.3847, 0.3824)
O (0.8739, 0.4291, 0.9280)
O (0.3121, 0.1203, 0.6233)
O (0.6325, 0.8856, 0.4829)
O (0.6279, 0.0650, 0.0699)
O (0.5073, 0.3521, 0.2284)
O (0.1826, 0.6364, 0.2726)
O (0.3286, 0.6153, 0.8824)
O (0.8655, 0.6014, 0.5188)
O (0.8284, 0.6313, 0.2738)
O (0.3739, 0.0709, 0.0720)
O (0.6714, 0.1153, 0.6176)
O (0.4927, 0.8521, 0.2716)
O (0.1261, 0.9291, 0.5720)
O (0.3284, 0.8687, 0.7262)
O (0.0112, 0.3986, 0.6248)
O (0.0073, 0.1479, 0.7716)
O (0.5006, 0.6162, 0.6454)
O (0.4962, 0.8627, 0.9542)
O (0.3675, 0.3856, 0.0171)
+++
If Vladimir Putin wanted to invade a former Soviet-bloc country and get the blessings of American Christians, he might have done better than choosing Ukraine. Among all the countries that once made up the USSR, Ukraine today stands out as…
Why biblical inerrancy should be a litmus test
Editor’s note: One of the blessings of engaging with a variety of young theologians as writers for BNG is allowing room for differing opinions. Despite the perception of some, our contributors are not all cut from the same cloth. And…
How the Chicago Statement on Biblical Inerrancy became a litmus test
“Do you affirm the doctrine of inerrancy as articulated in the Chicago Statement?” demands Denny Burk, professor at Southern Baptist Theological Seminary, tweeting his line in the sand to defend what he thinks are attacks against historic orthodoxy by the ever-so-dangerous…